PDF export for Javascript-generated content

Hi devs,


I’d like to discuss how we could improve our PDF export so that exporting content that uses javascript that modifies the DOM will work. For example, consider the {{chartjs}} macro which displays some graphs using javascript.

Right now we render the page on the server side using the XHTML renderer, convert this XHTML to XSLFO and then ask FOP to convert it to PDF (not mentioned various substeps). This means that we don’t execute javascript and thus we don’t get the modified HTML DOM in the export, which is a big limitation.

Proposal 1: Headless Chrome

I had an initial discussion with Marius and Thomas and this is the idea we came up with so far:

  • Run Chrome in headless mode on the server side. In order to make this portable across OSes, use a Chrome docker image for that.
  • Control this Chrome instance from XWiki by using some java API to do so.
  • More specifically when exporting a page, ask Chrome to load the page URL and then to export it to PDF

There are some challenges though, some are listed in a previous discussion we had on this topic back in 2017.

Let’s list what I have in mind (please add more if you can think of more):

  • The chrome loading of the XWiki page must be authenticated with the same use so that the rendering produces the same result as the page being viewed.
  • Handling of multipage exports. I can think of 2 solutions:
    • Prepare a transient XWiki document representing the full content to export (using {{display}} macros for all pages) and ask Chrome to export that page.
      • Problems: This will create a page in the wiki which will need to be deleted afterwards, not nice. It could also lead to a very heavy page (imagine wanting to export a full wiki to PDF).
      • Possible solution: create a service that does the concatenation
    • Loop over all pages and for each one, ask Chrome to generate a PDF for it. Then merge the PDFs using a java library such as PDFBox.
  • Making sure the JS has finished executing before Chrome converts the page to PDF.
    • They solved this in this article again, where they mentioned having to modify their code so that their JS can tell when the content is ready. Open question: that’s fine for our code but how do we handle 3rd party code? How do we know it’s finished loading? Do we have such cases?
  • Table of content and page numbering (also in the context of multipage exports)
    • The TOC could be solved by generating it server-side and then inserting it in the PDF using PDFBox or some other java library.
    • Same for the page numbering I guess. Even if there are options for controlling page numbering using the CDP protocol for Chrome, we would still need some manual updates to handle multipage exports if we use the PDF merging approach.
  • Lots of other small details that they solved in this article

Calculated crystals that have nothing to do with the entry
~~~
No. 1
VASP calculation (PBE) on a relaxed structure of MnGe2Te4.

Summary:
Space-group type: No. 166
E_form (uncorrected) in meV/atom: -136
Energy in eV per atom: -4.560

a b c (Å): 4.015 4.015 14.327
angles (deg): 81.95 81.95 60.00
Site moments in Bohr magnetons follow the coordinates.
Fractional positions:
Mn  0.000  0.000  0.000  3.48
Ge  0.244  0.244  0.267  -0.01
Ge  0.756  0.756  0.733  -0.01
Te  0.125  0.125  0.625  -0.04
Te  0.875  0.875  0.375  -0.04
Te  0.368  0.368  0.895  -0.10
Te  0.632  0.632  0.105  -0.10

***

No. 2
VASP calculation (PBE) on a relaxed structure of MnGeTe2.

Summary:
Space-group type: No. 123
E_form (uncorrected) in meV/atom: -52
Energy in eV per atom: -5.070

a b c (Å): 4.185 4.185 5.868
angles (deg): 90.00 90.00 90.00
Site moments in Bohr magnetons follow the coordinates.
Fractional positions:
Mn  0.500  0.500  0.500  4.26
Ge  0.000  0.000  0.000  0.05
Te  0.000  0.000  0.500  0.06
Te  0.500  0.500  0.000  0.03

***

No. 3
VASP calculation (PBE) on a relaxed structure of Mn3GeTe.

Summary:
Space-group type: No. 221
E_form (uncorrected) in meV/atom: 1062
Energy in eV per atom: -5.992

a b c (Å): 4.967 4.967 4.967
angles (deg): 90.00 90.00 90.00
Site moments in Bohr magnetons follow the coordinates.
Fractional positions:
Ge  0.500  0.500  0.500  -0.19
Te  0.000  0.000  0.000  -0.10
Mn  0.000  0.500  0.000  3.62
Mn  0.000  0.000  0.500  3.49
Mn  0.500  0.000  0.000  3.75

***

No. 4
VASP calculation (PBE) on a relaxed structure of MnTlGeTe3.

Summary:
Space-group type: No. 11
E_form (uncorrected) in meV/atom: -89
Energy in eV per atom: -4.352

a b c (Å): 4.427 9.080 9.501
angles (deg): 101.65 90.00 90.00
Site moments in Bohr magnetons follow the coordinates.
Fractional positions:
Mn  0.250  0.075  0.574  3.22
Mn  0.750  0.925  0.426  3.22
Tl  0.750  0.829  0.786  -0.01
Tl  0.250  0.171  0.214  -0.01
Ge  0.250  0.645  0.126  -0.02
Ge  0.750  0.355  0.874  -0.02
Te  0.250  0.783  0.460  -0.09
Te  0.750  0.873  0.146  -0.08
Te  0.750  0.442  0.171  -0.06
Te  0.750  0.217  0.540  -0.09
Te  0.250  0.558  0.829  -0.06
Te  0.250  0.127  0.854  -0.08

***

No. 5
VASP calculation (PBE) on a relaxed structure of MnTl2GeTe4.

Summary:
Space-group type: No. 121
ΔE to the lowest computed polymorph in eV per atom: 0.000
E_form (uncorrected) in meV/atom: -192
Energy in eV per atom: -4.078

a b c (Å): 7.012 7.012 7.012
angles (deg): 104.24 104.24 120.54
Site moments in Bohr magnetons follow the coordinates.
Fractional positions:
Mn  0.500  0.500  0.000  4.17
Tl  0.000  0.500  0.500  0.01
Tl  0.500  0.000  0.500  0.01
Ge  0.000  0.000  0.000  0.03
Te  0.932  0.932  0.339  0.03
Te  0.593  0.593  0.661  0.03
Te  0.068  0.407  0.000  0.03
Te  0.407  0.068  0.000  0.03

***

No. 6
VASP calculation (PBE) on a relaxed structure of MnTl2GeTe4.

Summary:
Space-group type: No. 74
ΔE to the lowest computed polymorph in eV per atom: 0.023
E_form (uncorrected) in meV/atom: -170
Energy in eV per atom: -4.056

a b c (Å): 8.726 8.726 8.533
~~~

Any other issues you see that are not already listed?


While this approach is far from simple and brings lots of questions, it has the nice advantage of relying on Chrome which is a well-maintained piece of software, fixing bugs and improving at each release, regularly. This seems a much better approach than FOP which is moving a lot more slower IMO. So I believe this approach has a higher change of generating higher quality PDFs (if we can solve all the points mentioned above).

If we implement proposal 1 and succeed in solving all listed items, would you be ok to bundle this in XS (maybe turned on only when there’s Docker installed on the server, and ideally making the standard FOP-based code into an extension so that admins could decide which one to install/uninstall to control how many export to PDF buttons users will see in the export UI)? Even if not bundled by default in XS, would you be ok to make it an extension part of platform and thus officially supported by the XWiki dev team? On my side, I think it would be a good thing since it would solve an important issue we currently have (JS not being executed).

WDYT? Do you see an alternative that would work better?


One more:

  • Links.
    • I checked, and we do get clickable links (by opposition of what was said back in this thread).
    • However they’re displayed with both the link label + the URL next to it. Screenshot 2021-09-15 at 16.40.51
      • One solution for this could be to use PDFBox or some other library to modify the generated PDF: visually mark the link + remove the URL. I also tried to google to find if chrome had some settings for how it displays links and couldn’t find anything so far.
    • There’s also the issue of exporting several pages and having internal links between these pages.
      • This is not easy and again, it could mean parsing the generated PDF(s) to find internal links and replace them (using PDFBox for ex).

Note that replacing text in PDF using PDFBox doesn’t seem to be easy, see Apache PDFBox | PDFBox 2.0.0 Migration Guide

See also itext - Search and replace text in PDF using JAVA - Stack Overflow

Proposal 2: Save as image

Another proposal would be to modify each macro or feature that uses Javascript to generate an image of the result and save it server-side, and then to include that image when printing to PDF.

Note that we would still need to modify the code to know when the JS has finished adding DOM elements so that image can be saved server-side.

The drawbacks are:

  • Each macro or feature using JS needs to be modified to support PDF export
  • The quality of the image in the generated PDF would probably be quite low
  • Performance problem since the save would be done on each rendering
  • How would it work for multipage exports since each page is not displayed in this case and thus no JS is executed…


  • Simpler to implement for a small subset of use cases
  • Can also work for exporting to PDF using the LaTeX extension (the LaTeX extension operates only on the XDOM and not on HTML, except for the HTML macro which is parsed to XDOM).

Thanks for the full description of the options. I’m a bit surprised that there’s no solution nowadays to allow activating “print to pdf” from native browser print features: I googled a bit but apparently we can only trigger the print window without specifying any options. That would have been best for this feature IMO.

I see one possible issue with headless chrome:

  • interactive javascript that would not be displayed the same than in client browser. For example, you have a charts with 3 graphs and the user activated only one client side (others are hidden): I don’t think we’d have an easy way to capture that.

Now besides that I’m actually a bit afraid with the headless chrome solution: our experience testing XWiki with Docker, and with using browsers on docker is not that good, and even if in that case it would be definitely simpler, I’m still afraid that would be an heavy machine to maintain.

For that reason I think I prefer Proposal 2, and for that one I guess some drawbacks could probably be solved by maintaining a cache of images for each macro: so basically providing an API to save the images on the server, and automatically cache them. We’d still need to modify the existing macros to generate the image and call that new API, but it would solve performance issue, and possibly multipage issue too.

So I’d be +1 that we focus on providing such API, and starts modifying the most used macros for which we want an export (e.g. chartjs). I’m -0 for proposal 1, since it might allow export of all JS, but it sounds like a really expensive solution, and I’m not sure we’d need it.

It wouldn’t work for multipage exports, and not all browsers support printing to PDF and not with the same quality if they do. Hence the headless chrome idea. See also http://markmail.org/message/ztcwibiuoqfjcnjo where we discussed this in the past.

The problem with proposal 2 is that it cannot work well enough simply because of the quality aspect (PDFs can be zoomed, printed and images will result in poor results). Also, how would you handle multipage exports?

Is this really a problem? I don’t think so.

Proposal 3: Use the browser’s Print function

Another proposal is to use the browser’s native print function. The flow would be like this:

  • The user choose “Export” from the more actions menu and then “Export as PDF” from the modal which open the “PDF Export Options” page.
  • The user fills the PDF options and clicks on “Export”
  • At this point some JavaScript code kicks in and:
    • adds a loading animation
    • computes the print URL based on the PDF options
    • injects a hidden iframe into the current page pointing it to the print URL
    • waits for the iframe to load and also for the JavaScript within the iframe to be ready (see Proposal 1)
    • removes the loading animation
    • calls iframe.contentWindow.print()
    • the user is free to either download the PDF or send it to a printer

The service behind the print URL should return HTML matching the print options. It should be able to:

  • aggregate child pages (or the pages specified in the URL query string)
  • generate a global ToC (based on the aggregated pages)
  • replace links with anchors when the target page is included in the print

(Calculated crystals, kept here for reference)
┌──
[1]
This record from Alexandria via LeMat-Bulk describes a geometry-optimized BaTaNb2N structure. The functional is GGA-PBEsol. Values from VASP.

Results
calculated density: 7.760 Mg/m³
raw formation energy: 2.836 eV per atom
symmetry: P4/mmm, No. 123

```
&SYSTEM
  ibrav = 0, nat = 5, ntyp = 4
/
ATOMIC_SPECIES
Ba 137.33 Ba.upf
Ta 180.95 Ta.upf
Nb 92.91 Nb.upf
N 14.01 N.upf
CELL_PARAMETERS angstrom
5.189 0.000 0.000
0.000 5.189 0.000
0.000 0.000 4.117
ATOMIC_POSITIONS crystal
Ba 0.000 0.000 0.000
Ta 0.500 0.500 0.500
Nb 0.000 0.500 0.000
Nb 0.500 0.000 0.000
N 0.000 0.000 0.500
```



[2]
This record from Alexandria via LeMat-Bulk describes a geometry-optimized SrCaH2 structure. The functional is GGA-PBEsol. Values from VASP.

Results
calculated density: 2.539 Mg/m³
symmetry: I-42d, No. 122

```
&SYSTEM
  ibrav = 0, nat = 8, ntyp = 3
/
ATOMIC_SPECIES
Sr 87.62 Sr.upf
Ca 40.08 Ca.upf
H 1.01 H.upf
CELL_PARAMETERS angstrom
-2.764 2.764 5.551
2.764 -2.764 5.551
2.764 2.764 -5.551
ATOMIC_POSITIONS crystal
Sr 0.000 0.000 0.000
Sr 0.750 0.250 0.500
Ca 0.250 0.750 0.500
Ca 0.500 0.500 0.000
H 0.148 0.625 0.023
H 0.375 0.398 0.523
H 0.602 0.125 0.977
H 0.875 0.852 0.477
```



[3]
This record from Alexandria via LeMat-Bulk describes a geometry-optimized LiF structure. The functional is GGA-PBEsol. Values from VASP.

Results
calculated density: 2.701 Mg/m³
distance to the lowest polymorph of the same formula: 0.0 kJ per mole of atoms
raw formation energy: -2.979 eV per atom
symmetry: Fm-3m, No. 225

```
&SYSTEM
  ibrav = 0, nat = 2, ntyp = 2
/
ATOMIC_SPECIES
Li 6.94 Li.upf
F 19.00 F.upf
CELL_PARAMETERS angstrom
0.000 1.998 1.998
1.998 0.000 1.998
1.998 1.998 0.000
ATOMIC_POSITIONS crystal
Li 0.000 0.000 0.000
F 0.500 0.500 0.500
```



[4]
This record from Alexandria via LeMat-Bulk describes a geometry-optimized K2SbPt structure. The functional is GGA-PBEsol. Values from VASP.

Results
calculated density: 5.138 Mg/m³
raw formation energy: -0.277 eV per atom
symmetry: Imm2, No. 44

```
&SYSTEM
  ibrav = 0, nat = 4, ntyp = 3
/
ATOMIC_SPECIES
K 39.10 K.upf
Sb 121.76 Sb.upf
Pt 195.08 Pt.upf
CELL_PARAMETERS angstrom
-2.212 2.862 5.042
2.212 -2.862 5.042
2.212 2.862 -5.042
ATOMIC_POSITIONS crystal
K 0.000 0.000 0.000
K 0.693 0.193 0.500
Sb 0.407 0.407 0.000
Pt 0.290 0.790 0.500
```



[5]
This record from Alexandria via LeMat-Bulk describes a geometry-optimized TlReAs structure. The functional is GGA-PBEsol. Values from VASP.

Results
calculated density: 12.677 Mg/m³
symmetry: F-43m, No. 216
ΔH_f (0 K): 898.3 meV/atom

```
&SYSTEM
  ibrav = 0, nat = 3, ntyp = 3
/
ATOMIC_SPECIES
Tl 204.38 Tl.upf
Re 186.21 Re.upf
As 74.92 As.upf
CELL_PARAMETERS angstrom
0.000 3.124 3.124
3.124 0.000 3.124
3.124 3.124 0.000
ATOMIC_POSITIONS crystal
Tl 0.000 0.000 0.000
Re 0.750 0.750 0.750
As 0.500 0.500 0.500
```



[6]
This record from Alexandria via LeMat-Bulk describes a geometry-optimized K2LiH6N3 structure. The functional is GGA-PBEsol. Values from VASP.

Results
└──
(Here the piece continues)

The problem with link URL displayed after the link label remains but we could, at worse, if we can’t find an alternative, drop the link.

Actually that’s easy to fix:

@media print {
  a:link:after, a:visited:after {
    content: none;

The service is what makes the more sense IMO, and it could be useful for other use cases (exporting the result as PDF being just one way to exploit the result of this service).

Can be covered by the service too.

Note that the print service I mentioned in Proposal 3 would behave in a similar way as the current code that does PDF export on the server, only that instead of transforming the HTML to XSLFO it would return it back to the browser. This basically means extending our “Print Preview” feature to support all configuration options supported by “Export as PDF” (cover, table of contents, etc.).

So it seems this is essentially the same solution as proposal 1, the difference being that the browser used is the user’s browser. And yes for multipage and content manipulation, we should indeed use an action as we do for print ATM to stream the full content to the caller. However, it’ll mean having the browser load it fully in the iframe which means it won’t scale for large PDF exports (like exporting a 1M pages wiki to PDF for example - taking an extreme UC here ;)). In any case it seems much simpler to control the HTML sent rather than operating on the produced PDFs and merging them (seems like manipulating PDF is not that easy after all).

ATM I still prefer proposal 1 but with the print service that you mentioned, simply because we control the browser and the quality output. It’s heavier though. So maybe we could do both since the only difference between both approaches is the iframe vs CDP call, and the rest is the same.

Doing both is interesting since we could offer it OOB with the user’s browser and have an extension to make it work with Docker and Chrome headless in case:

  1. the user’s browser doesn’t support printing to PDF,
  2. the user’s browser doesn’t produce nice PDFs
  3. the user is on mobile
  4. the user’s OS has less power (CPU hungry maybe for large exports?) than doing it on the server machine


We should definitely go for 3 as a default. It could be interesting to propose as extension to do the export through a dedicated headless browser instead of the current one, but not sure it’s really critical for the feature.


Does FF support printing to PDF natively? I googled quickly and it seems it doesn’t, only through extensions. For Edge it seems supported (since it’s now based on chrome I guess it’s very similar in output).

Answering to myself: it does (just tested).

However the results are different between FF and Chrome and it doesn’t seem it would be a good idea for an xwiki instance to generate different PDFs depending on whom does the export… So I believe the chrome headless solution is more important than what you may think and not something optional to me. It’s quite likely that replacing our current PDF export with the local browser one is going to be considered by several users are a regression on this aspect and it’ll raise questions. We’ll have a solution (install the chrome headless extension) but it’s a bit less seamless than what we have now. In exchange you get better PDF fidelity.

Screenshot 2021-09-16 at 15.09.55

Also, as I mentioned above we don’t have to abandon the FOP-based solution immediately and we can offer the various options in parallel for some time, we just need to make it configurable.